**Request**
Restate the whole of the calculation results further below without altering anything.

**Source**
-- begin --
Material: ErScZnRu
Method: DFT, PBE
State: relaxed

Geometry as CIF:
```
data_ErScZnRu
_space_group_name_H-M_alt 'F -4 3 m'
_space_group_IT_number 216
_space_group_name_Hall 'F -4 2 3'
_cell_length_a 6.7226
_cell_length_b 6.7226
_cell_length_c 6.7226
_cell_angle_alpha 90.00
_cell_angle_beta 90.00
_cell_angle_gamma 90.00
loop_
_atom_site_label
_atom_site_fract_x
_atom_site_fract_y
_atom_site_fract_z
Er1 0.0000 0.0000 0.0000
Sc1 0.0000 0.0000 0.5000
Zn1 0.2500 0.2500 0.2500
Ru1 0.2500 0.2500 0.7500
```

Summary:
Formation enthalpy at 0 K, eV per atom: -0.42
D(E_F), states/eV/f.u.: 4.309
Calculated total energy, eV for the cell shown: -92.5

~~~~~

Entry from OQMD: TaNiHgGe after structural relaxation (PBE-GGA).

Cell: 4.5415 4.5415 4.5415 Å, 60.00 60.00 60.00°
With the nearest neighbours (Å) after each atom.
Atoms (fractional coordinates):
Ta1 0.0000 0.0000 0.0000  4 Hg 2.78, 4 Ge 2.78
Ni1 0.5000 0.5000 0.5000  4 Ge 2.78, 4 Hg 2.78
Hg1 0.7500 0.7500 0.7500  4 Ta 2.78, 4 Ni 2.78
Ge1 0.2500 0.2500 0.2500  4 Ta 2.78, 4 Ni 2.78

Properties
Volume ... 16.56 Å³/atom

---

Entry from OQMD: Rb4MgCdSn2 after structural relaxation (PBE-GGA).

Cell: 7.2834 7.2834 6.6727 Å, 90.11 90.11 104.33°
With the nearest neighbours (Å) after each atom.
Atoms (fractional coordinates):
Rb1 0.0318 0.6888 0.7517  4 Sn 3.91-3.99, 5 Rb 3.95-4.29, 2 Cd 4.13-4.31, 2 Mg 4.13-4.32
Rb2 0.3112 0.9682 0.2483  4 Sn 3.91-3.99, 5 Rb 3.95-4.29, 2 Cd 4.13-4.31, 2 Mg 4.13-4.32
Rb3 0.6888 0.0318 0.7517  4 Sn 3.91-3.99, 5 Rb 3.95-4.29, 2 Cd 4.13-4.31, 2 Mg 4.13-4.32
Rb4 0.9682 0.3112 0.2483  4 Sn 3.91-3.99, 5 Rb 3.95-4.29, 2 Cd 4.13-4.31, 2 Mg 4.13-4.32
Mg1 0.5000 0.5000 0.5000  2 Sn 2.81
Cd1 0.5000 0.5000 0.0000  2 Sn 2.81
Sn1 0.2467 0.2467 0.7490  1 Cd 2.81, 1 Mg 2.81
Sn2 0.7533 0.7533 0.2510  1 Cd 2.81, 1 Mg 2.81

Properties
Volume ... 42.87 Å³/atom

---

Raw total energy across the listed records, respectively: -0.384, -0.145 Ry/atom.
E above lowest polymorph across the listed records, respectively: 0, 0 meV per atom.
-- stop --

**Solution**
Material: ErScZnRu
Method: DFT, PBE
State: relaxed

Geometry as CIF:
```
data_ErScZnRu
_space_group_name_H-M_alt 'F -4 3 m'
_space_group_IT_number 216
_space_group_name_Hall 'F -4 2 3'
_cell_length_a 6.7226
_cell_length_b 6.7226
_cell_length_c 6.7226
_cell_angle_alpha 90.00
_cell_angle_beta 90.00
_cell_angle_gamma 90.00
loop_
_atom_site_label
_atom_site_fract_x
_atom_site_fract_y
_atom_site_fract_z
Er1 0.0000 0.0000 0.0000
Sc1 0.0000 0.0000 0.5000
Zn1 0.2500 0.2500 0.2500
Ru1 0.2500 0.2500 0.7500
```

Summary:
Formation enthalpy at 0 K, eV per atom: -0.42
D(E_F), states/eV/f.u.: 4.309
Calculated total energy, eV for the cell shown: -92.5

~~~~~

Entry from OQMD: TaNiHgGe after structural relaxation (PBE-GGA).

Cell: 4.5415 4.5415 4.5415 Å, 60.00 60.00 60.00°
With the nearest neighbours (Å) after each atom.
Atoms (fractional coordinates):
Ta1 0.0000 0.0000 0.0000  4 Hg 2.78, 4 Ge 2.78
Ni1 0.5000 0.5000 0.5000  4 Ge 2.78, 4 Hg 2.78
Hg1 0.7500 0.7500 0.7500  4 Ta 2.78, 4 Ni 2.78
Ge1 0.2500 0.2500 0.2500  4 Ta 2.78, 4 Ni 2.78

Properties
Volume ... 16.56 Å³/atom

---

Entry from OQMD: Rb4MgCdSn2 after structural relaxation (PBE-GGA).

Cell: 7.2834 7.2834 6.6727 Å, 90.11 90.11 104.33°
With the nearest neighbours (Å) after each atom.
Atoms (fractional coordinates):
Rb1 0.0318 0.6888 0.7517  4 Sn 3.91-3.99, 5 Rb 3.95-4.29, 2 Cd 4.13-4.31, 2 Mg 4.13-4.32
Rb2 0.3112 0.9682 0.2483  4 Sn 3.91-3.99, 5 Rb 3.95-4.29, 2 Cd 4.13-4.31, 2 Mg 4.13-4.32
Rb3 0.6888 0.0318 0.7517  4 Sn 3.91-3.99, 5 Rb 3.95-4.29, 2 Cd 4.13-4.31, 2 Mg 4.13-4.32
Rb4 0.9682 0.3112 0.2483  4 Sn 3.91-3.99, 5 Rb 3.95-4.29, 2 Cd 4.13-4.31, 2 Mg 4.13-4.32
Mg1 0.5000 0.5000 0.5000  2 Sn 2.81
Cd1 0.5000 0.5000 0.0000  2 Sn 2.81
Sn1 0.2467 0.2467 0.7490  1 Cd 2.81, 1 Mg 2.81
Sn2 0.7533 0.7533 0.2510  1 Cd 2.81, 1 Mg 2.81

Properties
Volume ... 42.87 Å³/atom

---

Raw total energy across the listed records, respectively: -0.384, -0.145 Ry/atom.
E above lowest polymorph across the listed records, respectively: 0, 0 meV per atom.